(Material)
- - -
The following is a simulated X-ray diffraction stick pattern of Ba3AlN3. It was derived from the GGA-PBE geometry in Alexandria, using Cu Kα.

Structure:
Unit cell a=7.8949 b=6.7861 c=10.7938 alpha=90.00 beta=96.05 gamma=90.00
Fractional coordinates of all 28 atoms:
Ba (0.0365, 0.1452, 0.1585)
Ba (0.0365, 0.3548, 0.6585)
Ba (0.3394, 0.1788, 0.9389)
Ba (0.3394, 0.3212, 0.4389)
Ba (0.3701, 0.6778, 0.7936)
Ba (0.3701, 0.8222, 0.2936)
Ba (0.6299, 0.1778, 0.7064)
Ba (0.6299, 0.3222, 0.2064)
Ba (0.6606, 0.6788, 0.5611)
Ba (0.6606, 0.8212, 0.0611)
Ba (0.9635, 0.6452, 0.3415)
Ba (0.9635, 0.8548, 0.8415)
Al (0.1458, 0.5835, 0.0662)
Al (0.1458, 0.9165, 0.5662)
Al (0.8542, 0.0835, 0.4338)
Al (0.8542, 0.4165, 0.9338)
N (0.1020, 0.0487, 0.4059)
N (0.1020, 0.4513, 0.9059)
N (0.2346, 0.6492, 0.5480)
N (0.2346, 0.8508, 0.0480)
N (0.2882, 0.0507, 0.6998)
N (0.2882, 0.4493, 0.1998)
N (0.7118, 0.5507, 0.8002)
N (0.7118, 0.9493, 0.3002)
N (0.7654, 0.1492, 0.9520)
N (0.7654, 0.3508, 0.4520)
N (0.8980, 0.5487, 0.0941)
N (0.8980, 0.9513, 0.5941)

Principal peaks in the range 2θ = 5–70°, most intense first:
2θ 29.81, d 2.997, I = 100.0
2θ 30.21, d 2.958, I = 91.6
2θ 35.99, d 2.495, I = 62.1
2θ 24.81, d 3.588, I = 59.3
2θ 29.45, d 3.033, I = 42.1
2θ 29.58, d 3.020, I = 41.7
2θ 48.34, d 1.883, I = 39.7
2θ 34.27, d 2.617, I = 30.8
- - -
(To do)
What is needed: repeat the block further up from the first line to the one with "2.617," verbatim.
(Outcome)
The following is a simulated X-ray diffraction stick pattern of Ba3AlN3. It was derived from the GGA-PBE geometry in Alexandria, using Cu Kα.

Structure:
Unit cell a=7.8949 b=6.7861 c=10.7938 alpha=90.00 beta=96.05 gamma=90.00
Fractional coordinates of all 28 atoms:
Ba (0.0365, 0.1452, 0.1585)
Ba (0.0365, 0.3548, 0.6585)
Ba (0.3394, 0.1788, 0.9389)
Ba (0.3394, 0.3212, 0.4389)
Ba (0.3701, 0.6778, 0.7936)
Ba (0.3701, 0.8222, 0.2936)
Ba (0.6299, 0.1778, 0.7064)
Ba (0.6299, 0.3222, 0.2064)
Ba (0.6606, 0.6788, 0.5611)
Ba (0.6606, 0.8212, 0.0611)
Ba (0.9635, 0.6452, 0.3415)
Ba (0.9635, 0.8548, 0.8415)
Al (0.1458, 0.5835, 0.0662)
Al (0.1458, 0.9165, 0.5662)
Al (0.8542, 0.0835, 0.4338)
Al (0.8542, 0.4165, 0.9338)
N (0.1020, 0.0487, 0.4059)
N (0.1020, 0.4513, 0.9059)
N (0.2346, 0.6492, 0.5480)
N (0.2346, 0.8508, 0.0480)
N (0.2882, 0.0507, 0.6998)
N (0.2882, 0.4493, 0.1998)
N (0.7118, 0.5507, 0.8002)
N (0.7118, 0.9493, 0.3002)
N (0.7654, 0.1492, 0.9520)
N (0.7654, 0.3508, 0.4520)
N (0.8980, 0.5487, 0.0941)
N (0.8980, 0.9513, 0.5941)

Principal peaks in the range 2θ = 5–70°, most intense first:
2θ 29.81, d 2.997, I = 100.0
2θ 30.21, d 2.958, I = 91.6
2θ 35.99, d 2.495, I = 62.1
2θ 24.81, d 3.588, I = 59.3
2θ 29.45, d 3.033, I = 42.1
2θ 29.58, d 3.020, I = 41.7
2θ 48.34, d 1.883, I = 39.7
2θ 34.27, d 2.617, I = 30.8